Work order >
Next, say how many lines of the rows further below hold the word "monoclinic", as a bare number.

Input >
- - -
LaAl33O51 | PBE | relaxed

Computed properties:
- crystal system = monoclinic
- energy relative to the elements, uncorrected (meV/atom) = -3002
- size of the total moment (μB/atom) = 0.0015

```
data_LaAl33O51
_cell_length_a 9.782
_cell_length_b 16.999
_cell_length_c 11.788
_cell_angle_alpha 90.00
_cell_angle_beta 106.09
_cell_angle_gamma 90.00
_symmetry_space_group_name_H-M 'C 1 2/m 1'
_symmetry_Int_Tables_number 12
_symmetry_space_group_name_Hall '-C 2y'
loop_
_atom_site_label
_atom_site_fract_x
_atom_site_fract_y
_atom_site_fract_z
La1 0.000 0.000 0.000
Al1 0.000 0.000 0.500
Al2 0.000 0.334 0.500
Al3 0.049 0.500 0.147
Al4 0.052 0.168 0.150
Al5 0.096 0.334 0.283
Al6 0.101 0.000 0.295
Al7 0.150 0.167 0.451
Al8 0.150 0.500 0.446
Al9 0.154 0.417 0.715
Al10 0.155 0.249 0.716
Al11 0.156 0.084 0.717
O1 0.000 0.142 0.000
O2 0.000 0.500 0.000
O3 0.046 0.078 0.400
O4 0.046 0.255 0.401
O5 0.046 0.412 0.401
O6 0.091 0.000 0.791
O7 0.095 0.167 0.790
O8 0.095 0.333 0.784
O9 0.098 0.500 0.789
O10 0.151 0.079 0.203
O11 0.154 0.251 0.207
O12 0.155 0.417 0.212
O13 0.187 0.000 0.602
O14 0.192 0.335 0.602
O15 0.202 0.167 0.611
O16 0.205 0.500 0.609
```
- - -

Worked solution >
1